• To do:
Now work out how many lines underneath have the word "Properties" in them; a number is enough.

• Source:
┌──
1.
Below is a molecular structure, C31H40Cl2NOP3Pd, with properties calculated with ωB97M-V/def2-TZVPD.

Each line ends with the Mulliken spin population.
Element x y z (Å)
P: 1.308 1.344 -1.826  0.41
C: 3.036 1.482 -1.839  0.08
C: 3.645 0.920 -2.969  0.09
H: 3.053 0.268 -3.627  0.00
C: 4.958 1.224 -3.254  -0.03
H: 5.427 0.826 -4.161  0.00
C: 5.695 2.062 -2.385  0.07
H: 6.720 2.313 -2.626  0.00
C: 5.092 2.563 -1.215  -0.01
H: 5.681 3.205 -0.541  0.00
C: 3.778 2.262 -0.915  0.06
H: 3.291 2.613 -0.003  0.01
C: 0.680 -0.130 -2.512  0.04
C: 1.255 -1.401 -2.249  0.07
H: 2.110 -1.483 -1.585  0.01
C: 0.706 -2.526 -2.856  -0.04
H: 1.137 -3.508 -2.659  0.00
C: -0.374 -2.392 -3.740  0.09
H: -0.775 -3.276 -4.242  0.00
C: -0.927 -1.135 -3.993  -0.03
H: -1.758 -1.029 -4.706  0.00
C: -0.435 -0.013 -3.366  0.09
H: -0.863 0.982 -3.554  0.00
C: 0.347 2.786 -1.938  0.01
C: 0.672 3.475 -3.123  0.05
H: 1.467 3.082 -3.764  0.00
C: -0.028 4.623 -3.457  0.00
H: 0.207 5.136 -4.391  0.00
C: -1.027 5.107 -2.594  0.01
H: -1.576 6.013 -2.871  0.00
C: -1.309 4.443 -1.397  0.01
H: -2.088 4.847 -0.722  0.00
C: -0.625 3.292 -1.051  0.02
H: -0.791 2.787 -0.087  0.00
Pd: 0.182 -0.276 2.965  0.59
C: -1.703 -1.085 2.337  0.44
C: -2.219 -1.255 1.062  0.07
H: -2.172 -1.362 3.245  0.02
C: -1.351 -0.589 -0.051  -0.07
O: -2.285 0.385 -0.663  0.03
H: -1.730 1.023 -1.128  0.00
C: -0.114 0.055 0.382  0.77
H: -1.239 -1.395 -0.862  -0.01
C: 0.647 0.504 1.338  -0.11
Cl: -0.229 -1.120 4.873  0.44
Cl: 2.585 0.528 3.679  0.50
P: 1.487 -2.203 2.782  0.18
C: 2.369 -2.650 4.305  0.01
H: 1.639 -2.915 5.076  0.00
H: 2.933 -1.766 4.631  0.00
H: 3.040 -3.484 4.082  0.00
C: 0.422 -3.607 2.402  0.01
H: -0.048 -3.466 1.423  0.00
H: -0.357 -3.687 3.167  0.00
H: 1.042 -4.511 2.390  0.00
C: 2.739 -2.194 1.489  0.01
H: 3.306 -1.259 1.558  0.00
H: 2.267 -2.280 0.505  0.00
H: 3.398 -3.054 1.667  0.01
P: -3.805 -2.050 0.649  0.01
C: -4.331 -3.068 2.013  0.01
C: -3.419 -3.002 -0.822  0.00
H: -4.422 -2.457 2.920  0.00
H: -3.605 -3.875 2.182  0.00
H: -5.307 -3.496 1.747  0.00
H: -3.056 -2.348 -1.626  0.00
H: -4.332 -3.515 -1.153  0.00
H: -2.645 -3.746 -0.588  0.00
C: -4.946 -0.727 0.266  0.00
H: -5.132 -0.138 1.173  0.00
H: -5.884 -1.161 -0.101  0.00
H: -4.484 -0.080 -0.490  0.00
H: 1.493 1.203 1.464  0.03
C: -1.610 3.599 4.572  0.00
C: -1.016 2.518 3.816  0.01
N: -0.530 1.635 3.272  0.06
H: -2.615 3.311 4.903  0.00
H: -1.670 4.481 3.926  0.00
H: -0.983 3.818 5.444  0.00

## Properties
<S²>: 6.053
Highest occupied orbital energy (spin up / spin down) in Ha: -0.4185 / -0.5101
2S+1: 5
Total charge: +2


2.
Below is a molecular structure, C31H40ClN4O8Zr, with properties calculated with ωB97M-V/def2-TZVPD.

Each line ends with the Löwdin charge.
Element x y z (Å)
Zr: -0.347 0.251 -0.447  1.96
C: -3.496 -2.352 -1.101  -0.03
C: -2.146 -2.689 -0.513  -0.20
C: -1.205 -3.367 -1.312  -0.19
C: -1.647 -3.824 -2.682  -0.03
C: 0.063 -3.682 -0.803  -0.18
C: 1.078 -4.454 -1.613  -0.04
C: 0.395 -3.310 0.510  -0.19
C: 1.724 -3.705 1.107  -0.02
C: -0.552 -2.671 1.319  -0.21
C: -0.271 -2.434 2.782  -0.03
C: -1.837 -2.391 0.821  -0.21
C: -2.898 -1.981 1.807  -0.03
H: -4.175 -3.208 -1.083  0.10
H: -3.396 -2.045 -2.142  0.08
H: -3.985 -1.536 -0.573  0.06
H: -1.513 -3.043 -3.435  0.09
H: -2.702 -4.091 -2.678  0.08
H: -1.105 -4.701 -3.016  0.08
H: 1.209 -5.463 -1.216  0.10
H: 2.053 -3.965 -1.588  0.08
H: 0.805 -4.538 -2.655  0.06
H: 1.583 -4.442 1.901  0.10
H: 2.234 -2.856 1.560  0.06
H: 2.398 -4.142 0.377  0.07
H: 0.791 -2.438 3.004  0.07
H: -0.733 -3.213 3.395  0.11
H: -0.678 -1.484 3.122  0.06
H: -3.072 -2.802 2.507  0.11
H: -3.848 -1.752 1.339  0.06
H: -2.594 -1.118 2.400  0.06
O: 3.480 2.603 -0.400  0.04
C: 3.238 3.409 -1.464  -0.24
C: 4.294 4.187 -1.925  0.00
C: 4.116 5.032 -2.999  -0.06
C: 2.880 5.116 -3.640  -0.07
C: 1.834 4.346 -3.186  -0.02
C: 1.989 3.482 -2.093  -0.08
C: 0.837 2.686 -1.661  -0.37
O: 0.987 1.823 -0.642  -0.23
N: -0.310 2.787 -2.245  0.12
N: -1.201 1.950 -1.601  -0.13
└──

• Done:
1